King Air B200 – Elliott Aviation
Let’s say that you’ve already upgraded the avionics in your airplane as far as your needs require and your budget allows. The obvious next steps in the typical upgrade path are the interior and paint. And while many of us would think that a new paint job would add the highest short-term return, that may not be the case, especially if your aircraft is of the larger-cabin class. There’s a pretty clear differentiator in what the guy or lady sitting in the cockpit’s left seat values versus the person sitting in the cabin’s right rear seat.
“You can paint an airplane, and it looks great on the ramp, but you’re only going to see it for a few minutes,” stated Phil Stearns, director of sales and marketing at Stevens Aerospace and Defense Systems. “You’re going to spend hours and hours in that airplane’s cabin. That’s where you’re typically going to spend time and money regarding the materials, finishes and amenities to get maximum return on that investment.”
Of course, the only one that’s a sure-fire winner is to put on new engines. That’s guaranteed max ROI. Anything else, and, at best, you’re looking at recouping varying percentages of the original cost.

ClearView headrests and more. (Photos Courtesy of AvFab)

Start with a Clear Goal
When it comes to cabin upgrades, you can put them into two basic categories: One is an inexpensive, clean, and brush-up of the soft and hard surfaces to aid in an upcoming sale. The second is someone who is planning on keeping the aircraft for a long while. While the two may be different, their goals are not mutually exclusive.
“We need to start with what they want to accomplish. Are they a private owner, flight department, or a Part 135 (charter) operator? Each has its own needs,” Angie Coleman, Duncan Aviation senior completions and modifications sales representative, said. “They all want style and comfort, but a Part 135 operator will want more durable, easy-to-clean materials because of their frequent flights.”
That being said, no matter who’s back there, nobody wants to spend hours sitting in a cabin that looks old – well, not unless they’re in a Staggerwing.
“Our experience has been that mods that update the appearance to more closely replicate the look of a new production aircraft are best,” stated Jeff Lowe, president, Aircraft Fabricators (AvFAB). “Many times, the guy writing the check is sitting in the main cabin, so he’ll understand the benefits of modernizing the cabin.”
“Most customers today are looking to upgrade seats from the older rounded contours to a more contemporary squared-off look. It’s very clean,” Coleman said. “We’re also finding owners wanting to get away from the large, poofy headrests to get a cleaner look. New Citation and King Air cabins are good examples. That’s the look they want.”
Another point to consider is what you don’t currently like about your cabin. Are the seats uncomfortable? Does it lack storage? What do you need that it doesn’t provide?
“There’s a reason that you want to upgrade the interior in the first place. Is it dirty, smelly, or just worn out? Or, maybe you just don’t like the look of it anymore. There’s always a reason for an owner to spend money,” said Stevens Aerospace and Defense Systems Regional Sales Manager John Walker. “Look at all the components. If you want to recover the seats, how do the sidewalls look? How about the headliners? How’s the woodwork looking? There was some ugly stuff used in the 1980s in King Airs and Citations – somebody liked it back then, but not now,” he added. “And, if you’re looking to put it on charter, you need some kind of connectivity or texting capability onboard. In today’s world, no one will charter the airplane if it doesn’t have it.”
According to Meghan Welch, director of paint and interior sales for Elliott Aviation, another popular upgrade today is increasing cabin storage space.
“Functionality is a major part of cabin upgrades today. We need to make sure that the finished cabin meets all of the customer’s needs no matter the use,” she said. “Whether it’s upgrading the galley or reconfiguring the space, we never want a customer saying, ‘I wish I had thought of that.’ We have on-staff engineering, which really helps ease those types of changes. We start with what their ultimate goals are and then design the solution that best fits their needs.”
Popular Cabin Upgrades
Okay, so we’ve established that making your cabin look newer and more comfortable is a great way to maximize your ROI. But, what in particular are your options?
“The sky’s the limit as far as what you can do with the design and materials. But today the trend is towards less is more,” Welch said. “Contrast is still a very popular design direction – darker cabinetry with lighter upholstery and finishes. Look at popular automotive interior trends.”
As for what’s new with materials and finishes, Walker said that some new leather materials look like fabrics but are much more resistant to wear and stains. Those will be great if you travel with children, pets or if your airplane ever finds its way into Part 135 service. Regarding those 80s era “ugly wood finishes,” Duncan Aviation is now offering hydro-dipping, which is a cost-effective way to totally change the look of any hardgoods in the cabin at a very affordable price.
“This is a larger application of hydrographics technology,” Coleman said. “With the hydrodipping application, we can get the same deep, long-lasting finish. It’s becoming more affordable and is a great option now for smaller cabin aircraft.”
_Quantum chemistry results, as found in the file_
........
# 1
The following is a DFT calculation (ωB97M-V/def2-TZVPD) of a molecular structure, F6KN3NaO12S6 in a non-equilibrium geometry.

As for the energy above the lowest of the compared OMol25 structures with the same formula, charge and spin: 0.00 kJ/mol. As for the gap between HOMO and LUMO: 8.132 eV. Its total charge is -1. For the HOMO energy, the calculation gives -7.201 eV.

Last column: Löwdin charge in e.
Atoms and positions in Å:
Na 0.245 -0.002 -0.411  0.31
K 1.018 -2.712 0.482  0.92
N 0.569 2.288 0.057  -0.30
S 1.773 2.303 1.191  0.52
O 1.359 2.484 2.518  -0.24
O 2.976 2.827 0.682  -0.24
F 2.077 0.683 1.161  -0.24
S -0.143 3.716 0.357  0.48
O 0.761 4.789 0.073  -0.28
O -0.975 3.822 1.501  -0.25
F -1.129 3.700 -0.881  -0.17
N -0.636 -1.027 1.577  -0.41
S -0.417 -0.777 3.223  0.50
O -0.849 -1.829 4.069  -0.25
O -0.677 0.559 3.580  -0.21
F 1.160 -0.983 3.212  -0.19
S -2.124 -0.442 1.465  0.50
O -2.204 0.906 1.035  -0.23
O -3.083 -1.014 2.337  -0.23
F -2.403 -1.143 0.005  -0.22
N 0.237 -1.669 -2.097  -0.37
S 1.194 -1.063 -3.293  0.50
O 1.662 0.217 -2.900  -0.23
O 0.824 -1.264 -4.621  -0.21
F 2.405 -2.064 -3.061  -0.18
S -0.639 -2.758 -2.835  0.46
O 0.084 -3.878 -3.336  -0.26
O -1.749 -2.338 -3.596  -0.23
F -1.317 -3.334 -1.495  -0.21

***

# 2
The following is a DFT calculation (ωB97M-V/def2-TZVPD) of a molecular structure, F8KN4Na5O16S8 in a non-equilibrium geometry.

The spin multiplicity is 2. As for the gap between HOMO and LUMO (spin up / spin down): 4.393 / 4.995 eV. Its total charge is +1. For the HOMO energy (spin up / spin down), the calculation gives -9.839 / -10.482 eV.

Last column: Löwdin charge in e.
Atoms and positions in Å:
Na -2.984 -1.713 -3.513  0.60
Na -3.878 -3.584 -1.226  0.50
Na -1.402 2.825 0.025  0.71
Na 0.554 2.032 -2.274  0.50
Na -6.652 -2.118 0.443  0.74
K 2.246 -3.205 0.823  0.95
N -0.134 -1.231 5.915  -0.24
S -1.198 -1.004 4.884  0.42
O -1.768 -2.270 4.465  -0.32
O -1.201 0.188 4.019  -0.31
F -2.267 -0.582 6.006  -0.21
S 1.197 -1.286 4.819  0.62
O 2.050 -0.077 4.867  -0.29
O 1.092 -1.905 3.498  -0.36
F 2.079 -2.251 5.727  -0.19
N 0.830 2.348 0.064  -0.36
S 1.199 1.575 1.328  0.44
O 1.174 2.262 2.596  -0.20
O 2.139 0.489 1.243  -0.24
F -0.244 0.803 1.351  -0.23
S 2.154 3.429 0.310  0.62
O 3.480 2.831 0.397  -0.20
O 1.782 4.621 1.019  -0.23
F 1.980 4.014 -1.174  -0.20
N 1.530 1.526 -4.415  -0.28
S 2.516 0.392 -4.225  0.47
O 3.613 0.275 -5.171  -0.23
O 2.026 -0.791 -3.472  -0.31
F 3.355 1.095 -3.023  -0.20
S 0.421 0.574 -5.272  0.62
O -0.739 0.019 -4.589  -0.33
O 0.800 -0.123 -6.534  -0.25
F -0.324 1.842 -5.937  -0.20
N -2.272 -1.711 -1.168  -0.34
S -0.763 -1.401 -0.960  0.50
O -0.039 -1.897 0.190  -0.33
O -0.169 -0.168 -1.592  -0.29
F -0.346 -2.522 -2.055  -0.19
S -2.626 -0.936 0.341  0.61
O -2.701 0.530 0.297  -0.27
O -2.315 -1.563 1.640  -0.20
F -4.194 -1.332 0.332  -0.28

***

# 3
........
“The upgrades that we see as the most popular right now are those that solve a problem and update the cabin’s appearance,” Lowe stated. “For example, if you have a King Air with the factory [cabin window] polarizers, we can replace them with our new 360-style pleated shades. They not only give the cabin a modern look, but they also eliminate the ongoing issues owners have with replacing those polarizers every few years.”

These calculated molecules were left in the article by mistake =
<<<
A 8-piece molecular cluster, C13H43N19O9 overall at a distorted geometry, computed with the ωB97M-V functional and the def2-TZVPD basis.

LUMO level = 0.414 eV
Relative energy (zero: lowest compared OMol25 entry of this formula, charge and spin) = 861.3 kJ/mol
SMILES string = [H]/N=C(/N)NCCCCNC(=O)ON.NC(N)=O.NC(N)=O.NC(N)=O.NC(N)=O.NC(N)=O.NC(N)=O.NC(N)=O
F_max = 8.0 eV/Å
2S+1 = 1
Orbital gap = 8.79 eV
HOMO energy = -8.4 eV

Geometry as XYZ:
```
84
Properties=species:S:1:pos:R:3:lowdin_charge:R:1
H -1.40720 -2.42711 2.65952 0.01
N -2.00200 -2.38536 1.80038 0.10
C -1.22510 -2.78563 0.74122 -0.39
N -1.89841 -2.86080 -0.64514 0.03
N 0.22670 -3.20641 0.79041 -0.04
C 1.11689 -2.21306 1.51147 -0.23
C 1.42791 -0.83429 0.67510 -0.17
C 0.37524 0.37632 1.10171 -0.17
C -0.80283 0.64371 -0.03156 -0.22
N -1.37025 2.05110 -0.00018 0.02
C -2.25598 2.19954 -1.24742 -0.24
O -2.33103 3.41846 -1.78807 -0.03
O -2.99180 1.07116 -1.86585 -0.16
N -2.33324 0.59762 -2.95369 0.00
H -1.16160 -3.09873 -1.37553 0.07
H -2.62895 -3.63450 -0.61585 0.08
H 0.35835 -4.18824 1.11756 0.08
H 0.74397 -1.92455 2.59409 0.12
H 2.16021 -2.75444 1.66636 0.12
H 1.47259 -1.01002 -0.48974 0.11
H 2.50753 -0.47119 1.03273 0.11
H 0.93681 1.39115 1.34601 0.09
H -0.11133 0.02716 2.13355 0.11
H -1.71065 -0.09512 0.18423 0.12
H -0.31606 0.41436 -1.08920 0.12
H -1.99582 2.14305 0.83843 0.14
H -3.03658 0.18503 -3.62875 0.10
H -1.69942 -0.20542 -2.70002 0.09
N 3.77400 -6.85786 0.84539 0.16
C 2.63695 -6.24945 0.46253 -0.70
N 2.41607 -6.26161 -0.86437 0.16
O 1.86791 -5.72845 1.25498 0.01
H 4.41968 -7.29238 0.20787 0.07
H 3.97814 -6.87106 1.83620 0.11
H 1.57105 -5.81423 -1.19476 0.11
H 3.03756 -6.68543 -1.53244 0.10
N -2.05916 4.45358 -4.48980 0.15
C -1.53055 5.05940 -5.56831 -0.72
N -1.59271 6.40291 -5.54114 0.14
O -1.03469 4.44018 -6.49649 0.02
H -2.47182 4.94626 -3.71577 0.08
H -2.03274 3.44240 -4.47047 0.10
H -1.20589 6.89802 -6.33399 0.11
H -1.99711 6.93040 -4.78589 0.09
N -7.36304 -0.68898 -3.87448 0.15
C -6.18291 -0.23115 -3.41917 -0.71
N -6.24869 0.95755 -2.79284 0.16
O -5.13703 -0.84461 -3.56277 0.02
H -8.23459 -0.19832 -3.76586 0.10
H -7.35767 -1.58076 -4.35223 0.11
H -5.38245 1.33806 -2.43477 0.09
H -7.10035 1.47764 -2.66497 0.10
N -2.07067 0.42084 6.04121 0.15
C -2.41731 -0.32534 4.97693 -0.71
N -3.48818 0.12861 4.30108 0.15
O -1.80941 -1.33281 4.65090 0.01
H -2.55878 1.25340 6.32536 0.10
H -1.26970 0.11386 6.57763 0.11
H -3.78253 -0.40400 3.49296 0.11
H -4.00165 0.95593 4.55421 0.09
N 8.28352 -6.69724 -0.56311 0.15
C 7.30622 -6.61954 0.35801 -0.71
N 7.19529 -5.41927 0.95522 0.16
O 6.57897 -7.56187 0.62997 0.01
H 8.89236 -5.93238 -0.80072 0.10
H 8.40088 -7.58371 -1.03635 0.11
H 6.47188 -5.31813 1.65508 0.11
H 7.78476 -4.63160 0.74476 0.10
>>>
Cabin Connectivity and LED Lighting
While a full-on WIFI solution may be too expensive for most smaller cabin aircraft, there are connectivity options. Most of the major avionics manufacturers have some type of lower-cost texting or voice solution, whether it’s satellite- or air-to-ground-based.
“There is a solution for practically any type of aircraft to stay connected with the earth – voice, texting, even streaming – it’s all more affordable today,” Stearns said. “We work closely with our customers to find what will work best in their situation, what’s reliable, what works, and what’s affordable? Their best solution may be to not do anything.”
While connectivity is probably on every passenger’s must-have list, it’s not the only electronic upgrade you can do that will add value to your aircraft’s cabin.
“Along with the new seat-located USB ports, another popular upgrade is LED cabin lighting. Switching upwash, downwash, even the reading lights to LED is a huge upgrade,” said Jeff Simmons, Duncan Aviation’s senior avionics sales representative. “You can get systems that change color that is very nice. Even if the owner wasn’t thinking of lighting initially, once the cabin is disassembled, that’s the time to do it. It’s a cost-effective upgrade that makes a big difference.”
That’s a great point: once the cabin is disassembled for any work, it’s a good idea to take a look at other work you want to do now or in the future.
• Inserted here: quantum chemistry results:
____________
Record 1
Computed, not measured: 7 unconnected molecules or ions with the total composition C29H62NO8P in a non-equilibrium geometry, with wB97M-V/def2-TZVPD.

XYZ file:
```
101
Properties=species:S:1:pos:R:3:mulliken_charge:R:1
H -0.342 -1.497 2.883 0.205
N 0.585 -1.703 2.510 -0.585
C 1.417 -0.817 2.873 0.799
C 1.074 0.354 3.753 -1.503
C 2.867 -0.897 2.452 -0.391
C 3.101 -1.182 0.990 0.300
C 2.427 -2.031 0.214 0.119
C 2.822 -2.161 -1.211 -0.529
O 2.776 -3.214 -1.811 -0.592
C 3.340 -0.916 -1.840 -0.011
C 4.016 -0.050 -1.085 0.527
P 4.638 1.588 -1.566 0.164
C 3.636 1.971 -3.040 -0.898
C 6.333 1.329 -2.183 -1.057
C 4.222 -0.422 0.350 -0.418
O 5.237 -0.144 0.948 -0.579
H 1.470 1.284 3.346 0.366
H 1.500 0.192 4.745 0.292
H -0.007 0.446 3.856 0.463
H 3.329 0.067 2.670 0.358
H 3.389 -1.632 3.071 0.198
H 1.612 -2.627 0.600 0.542
H 3.139 -0.733 -2.889 0.438
H 3.755 3.030 -3.255 0.373
H 3.836 1.363 -3.925 0.316
H 2.597 1.810 -2.752 0.152
H 6.407 0.761 -3.112 0.327
H 6.754 2.321 -2.347 0.352
H 6.922 0.846 -1.404 0.310
C -0.679 3.851 -0.790 -1.131
C -0.557 3.866 -2.303 0.134
C -1.933 3.737 -2.933 -0.904
O 0.309 2.822 -2.754 -0.493
H -1.125 2.910 -0.463 0.216
H 0.298 3.948 -0.315 0.397
H -1.323 4.659 -0.443 0.284
H -0.080 4.790 -2.634 0.290
H -2.390 2.794 -2.618 0.245
H -1.879 3.732 -4.023 0.193
H -2.587 4.549 -2.614 0.357
H -0.085 1.985 -2.481 0.334
C -6.384 2.660 -4.793 -1.441
C -4.874 2.582 -4.663 0.856
C -4.165 2.590 -6.005 -1.512
O -4.512 1.411 -3.912 -0.508
H -6.767 1.795 -5.342 0.345
H -6.827 2.647 -3.799 0.365
H -6.714 3.563 -5.309 0.415
H -4.521 3.421 -4.061 0.026
H -4.473 1.726 -6.601 0.406
H -3.084 2.535 -5.871 0.369
H -4.401 3.494 -6.567 0.372
H -4.807 0.643 -4.416 0.292
C -5.508 0.208 0.038 -1.048
C -6.544 0.005 -1.059 0.365
C -6.239 -1.234 -1.888 -1.301
O -6.624 1.156 -1.891 -0.407
H -4.518 0.352 -0.406 0.287
H -5.750 1.095 0.627 0.081
H -5.462 -0.652 0.708 0.462
H -7.533 -0.094 -0.609 0.311
H -5.265 -1.128 -2.375 0.248
H -6.993 -1.367 -2.664 0.325
H -6.214 -2.132 -1.269 0.419
H -5.764 1.276 -2.327 0.304
C 1.630 -5.246 5.381 -1.484
C 1.968 -4.354 4.198 0.651
C 2.463 -5.153 3.006 -0.999
O 2.959 -3.390 4.572 -0.521
H 2.516 -5.801 5.703 0.335
H 1.283 -4.649 6.225 0.358
H 0.853 -5.967 5.121 0.385
H 1.092 -3.775 3.910 0.201
H 3.378 -5.684 3.283 0.253
H 2.696 -4.487 2.174 0.069
H 1.727 -5.884 2.669 0.410
H 3.751 -3.878 4.830 0.317
C -4.740 4.552 2.128 -1.453
C -4.516 4.537 0.624 0.526
C -5.826 4.447 -0.143 -1.075
O -3.645 3.468 0.256 -0.264
H -5.232 3.627 2.444 0.329
H -3.789 4.623 2.655 0.323
H -5.369 5.391 2.427 0.418
H -3.985 5.444 0.328 0.288
H -6.350 3.521 0.105 0.226
H -5.642 4.443 -1.218 0.150
H -6.483 5.285 0.095 0.422
H -4.078 2.641 0.499 0.127
C 7.580 -6.104 2.125 -1.452
C 6.663 -5.113 2.823 0.731
C 7.398 -3.843 3.219 -1.345
O 6.048 -5.717 3.964 -0.533
H 8.392 -6.403 2.794 0.359
H 7.029 -7.002 1.844 0.350
H 8.020 -5.670 1.227 0.373
H 5.833 -4.858 2.161 0.182
H 8.206 -4.077 3.919 0.381
H 6.721 -3.144 3.710 0.286
H 7.833 -3.350 2.350 0.369
____________
“Anything you can do now in the way of preparing for future upgrades or additions will save time and money,” Stearns said. “Whether it’s seat-located USB chargers, new navigation/communications antennas, or whatever. You can save thousands by doing the work now. That’s part of a good, detailed pre-project plan. It’s not only what you want to do today, but what’s coming in the next couple of years.”
SWAT Your Old Cabin Away
While we’ve covered a lot of options, one that we haven’t mentioned is a new service from Duncan Aviation that is now available at all three of the company’s MRO locations called SWAT: Survey Aircraft Interiors, Write Prompt Quotes, Artistically Clean, Touch-Up, Dye, Correct, and Transform Appearance and Functionality.
According to the company, the SWAT team will go through the aircraft and take care of all the “small items” that are not part of an aircraft’s scheduled service. SWAT services include touching up paint, spot-dying leather seats, resewing curtain guides – a myriad of things that will give your cabin an overall fresher look.
So, What’s the Bottom Line?
Whether it’s a simple cleaning, new upholstery, carpeting and sidewalls, hydrodipped hard goods, connectivity, and whatever else you can think of, there’s seemingly no limit to what you can do to make your cabin look like new.
The problem is, which upgrades will pay off? Well, again, if you’re keeping the airplane, then it’s totally up to you. Anything that adds comfort and convenience to any flight is a worthwhile upgrade. But, if you’re on the fence about selling sometime soon, then you may well benefit from discussing your plan with a licensed aircraft appraiser/dealer.
“What appraisers typically say to us is that as long as the cabin refurb is new looking and well maintained, they will get a good percentage of their investment back,” Welch said. “They get to enjoy the new cabin now and get a good payback later on.”
One thing you have to be careful of, though, is unless you plan on keeping the airplane for a long time, don’t get too carried away with the colors and finishes you select. You may love doing all the soft finishes in your alma matter’s colors, but the next owner may not share your enthusiasm.
“Don’t give a prospective buyer a reason to look away from your airplane,” Stearns said. “A great broker can help you look beyond the cosmetics of a good airplane, even if it’s as simple as cleaning the seats and adding new carpet runners. If you’re trying to move a million-and-a-half-dollar airplane, spending a little on a few things is nothing compared to the value of the airplane.”
Too true. It’s like looking at an exotic car. If one is just plain unkempt looking and the other is looking “factory new,” even if it costs X-thousands more, you’re more likely to want to take the clean one home. It’s just human nature.
As one interior shop owner said, “It’s amazing and a bit sad that an aircraft owner will live with worn-out looking carpeting, scratched windows, and scuffed sidewalls for years. But, when they decide to sell, they’re all up for making it look new. It’s a shame they don’t just want to make it nicer and more comfortable for their own enjoyment.”
So, what’s the bottom line when it comes to which cabin upgrades will bring the best return? Like we discovered in the avionics upgrade story in
T &T’s December 2020 issue, it all depends on, well, way too many things to cover in this story. But as Stearns stressed, don’t just look at the bottom-line budget. Take time to explore all your options.
“Don’t just ask for an interior quote, but take some time to meet and speak with your interior designer about what’s important to you. How you use the airplane? Don’t hold back from saying, ‘what if we could do this, or replace that?’” he said. “Don’t just settle for a beautiful interior, but get a beautiful interior that’s yours.”